Month: November 2016

apple cider snickerdoodles

apple cider snickerdoodles

This week we were invited to participate in a holiday cookie exchange hosted by the queen of cookies herself, Rebecca Firth from Displaced Housewife! She invited seventeen bloggers to make cookies, then secretly send them to one of the lucky names on the list—our mystery recipient will be receiving a batch of these sweet treats we are sharing today! We spent Thanksgiving in Portland with family, and when we arrived back home, a surprise package was waiting on our doorstep! Inside was a festive box tied with a silver bow and a shiny red and white striped ribbon, and a handwritten note from Laura at Tutti Dolci, revealing herself as our secret santa. Nestled within were dozens of brown butter chai snickerdoodles, carefully wrapped in wintry white paper with red snowflakes. Well it must be snickerdoodle season, or simply serendipitous synchronicity, because we made a similar selection for our sweet submission: apple cider snickerdoodles!



# The piece is interrupted by materials data
=====
[1]
VASP calculation (PBE) on a relaxed Cs3CaTm2Se6 crystal.

Cell lengths 7.4028, 7.4028, 8.7160 Å; angles 98.14, 98.14, 120.01 degrees
Closest atoms and distances in Å follow each position.
Atoms (fractional coordinates):
Cs 0.1630 0.8370 0.5000  6 Se 3.57-3.64
Cs 0.8370 0.1630 0.5000  6 Se 3.57-3.64
Cs 0.5000 0.5000 0.5000  6 Se 3.55-3.64
Ca 0.0000 0.0000 0.0000  6 Se 2.99-3.00
Tm 0.3330 0.6670 0.0000  6 Se 2.87
Tm 0.6670 0.3330 0.0000  6 Se 2.87
Se 0.9382 0.5911 0.8147  2 Tm 2.87, 1 Ca 3.00
Se 0.7144 0.7144 0.1835  2 Tm 2.87, 1 Ca 2.99
Se 0.0618 0.4089 0.1853  2 Tm 2.87, 1 Ca 3.00
Se 0.5911 0.9382 0.8147  2 Tm 2.87, 1 Ca 3.00
Se 0.2856 0.2856 0.8165  2 Tm 2.87, 1 Ca 2.99
Se 0.4089 0.0618 0.1853  2 Tm 2.87, 1 Ca 3.00

calculated density	5.2	g cm⁻³
DOS(E_F)	0.798	states/eV per atom
uncorrected energy	-53.2	eV per cell
formation energy from raw total energies	-1.570	eV/atom
symmetry	C2/m, No. 12

=====

[2]
VASP calculation (PBE) on a relaxed Tb3Cu2Si6Pd crystal.

Cell lengths 5.7586, 5.7586, 7.8090 Å; angles 90.00, 90.00, 120.00 degrees
Closest atoms and distances in Å follow each position.
Atoms (fractional coordinates):
Tb 0.3333 0.6667 0.6230  9 Si 2.99-3.02, 1 Cu 3.10
Tb 0.6667 0.3333 0.3770  9 Si 2.99-3.02, 1 Cu 3.10
Tb 0.0000 0.0000 0.0000  6 Si 2.91
Cu 0.6667 0.3333 0.9800  3 Si 2.47
Cu 0.3333 0.6667 0.0200  3 Si 2.47
Si 0.6155 0.8078 0.2806  2 Si 2.44, 1 Cu 2.47, 1 Pd 2.57
Si 0.1922 0.3845 0.2806  2 Si 2.44, 1 Cu 2.47, 1 Pd 2.57
Si 0.1922 0.8078 0.2806  2 Si 2.44, 1 Cu 2.47, 1 Pd 2.57
Si 0.8078 0.6155 0.7194  2 Si 2.44, 1 Cu 2.47, 1 Pd 2.57
Si 0.3845 0.1922 0.7194  2 Si 2.44, 1 Cu 2.47, 1 Pd 2.57
Si 0.8078 0.1922 0.7194  2 Si 2.44, 1 Cu 2.47, 1 Pd 2.57
Pd 0.0000 0.0000 0.5000  6 Si 2.57

calculated density	6.5	g cm⁻³
DOS(E_F)	0.594	states/eV per atom
uncorrected energy	-63.9	eV per cell
formation energy from raw total energies	-0.338	eV/atom
symmetry	P-3m1, No. 164

=====

[3]
VASP calculation (PBE) on a relaxed LiEr2Ag crystal.

Cell lengths 3.3881, 3.3881, 10.3987 Å; angles 80.62, 80.62, 60.00 degrees
Closest atoms and distances in Å follow each position.
Atoms (fractional coordinates):
Li 0.5000 0.5000 0.5000  6 Er 3.34, 6 Li 3.39
Ag 0.0000 0.0000 0.0000  6 Er 3.10, 6 Ag 3.39
Er 0.2549 0.2549 0.2353  3 Ag 3.10, 3 Li 3.34, 6 Er 3.39
Er 0.7451 0.7451 0.7647  3 Ag 3.10, 3 Li 3.34, 6 Er 3.39

calculated density	7.3	g cm⁻³
DOS(E_F)	0.758	states/eV per atom
uncorrected energy	-13.6	eV per cell
energy above the most stable polymorph in this dataset	186	meV per atom
energy of formation	0.072	eV per atom
symmetry	R-3m, No. 166

=====

[4]
VASP calculation (PBE) on a relaxed NaMn2N2 crystal.

Cell lengths 3.8356, 3.8356, 5.4802 Å; angles 69.52, 69.52, 90.00 degrees
Closest atoms and distances in Å follow each position.
Atoms (fractional coordinates):
Na 0.0000 0.0000 0.0000  2 Mn 2.82, 8 N 3.06
Mn 0.2962 0.2962 0.4076  4 N 1.97
Mn 0.7038 0.7038 0.5924  4 N 1.97
N 0.7500 0.2500 0.5000  4 Mn 1.97
N 0.2500 0.7500 0.5000  4 Mn 1.97
=====

twice-baked cheesy mashed potatoes

Below is Np3In5Se12 after structural relaxation, with properties calculated at the PBE level.

Summary:
Theoretical density   6.53 Mg/m³
V   28.379 A^3/atom
Total magnetic moment   47.1 Bohr magnetons per cell
Symmetry   Ia-3d, No. 230
Energy   -5.418 eV per atom

Cell and atoms, written as POSCAR:
```
Np3In5Se12
1.0
-8.280 8.280 8.280
8.280 -8.280 8.280
8.280 8.280 -8.280
Np In Se
12 20 48
direct
0.125 0.250 0.375
0.125 0.375 0.750
0.250 0.375 0.125
0.250 0.875 0.625
0.375 0.125 0.250
0.375 0.750 0.125
0.625 0.250 0.875
0.625 0.875 0.750
0.750 0.125 0.375
0.750 0.625 0.875
0.875 0.625 0.250
0.875 0.750 0.625
0.000 0.000 0.000
0.000 0.000 0.500
0.000 0.500 0.000
0.000 0.500 0.500
0.125 0.750 0.875
0.125 0.875 0.250
0.250 0.125 0.875
0.250 0.625 0.375
0.375 0.250 0.625
0.375 0.625 0.750
0.500 0.000 0.000
0.500 0.000 0.500
0.500 0.500 0.000
0.500 0.500 0.500
0.625 0.375 0.250
0.625 0.750 0.375
0.750 0.375 0.625
0.750 0.875 0.125
0.875 0.125 0.750
0.875 0.250 0.125
0.046 0.219 0.132
0.046 0.327 0.914
0.086 0.632 0.413
0.086 0.954 0.673
0.087 0.719 0.673
0.087 0.868 0.414
0.132 0.046 0.219
0.132 0.586 0.913
0.173 0.219 0.587
0.173 0.454 0.586
0.219 0.132 0.046
0.219 0.587 0.173
0.281 0.327 0.913
0.281 0.454 0.368
0.327 0.913 0.281
0.327 0.914 0.046
0.368 0.281 0.454
0.368 0.587 0.914
0.413 0.086 0.632
0.413 0.827 0.781
0.414 0.087 0.868
0.414 0.827 0.546
0.454 0.368 0.281
0.454 0.586 0.173
0.546 0.414 0.827
0.546 0.632 0.719
0.586 0.173 0.454
0.586 0.913 0.132
0.587 0.173 0.219
0.587 0.914 0.368
0.632 0.413 0.086
0.632 0.719 0.546
0.673 0.086 0.954
0.673 0.087 0.719
0.719 0.546 0.632
0.719 0.673 0.087
0.781 0.413 0.827
0.781 0.868 0.954
0.827 0.546 0.414
0.827 0.781 0.413
0.868 0.414 0.087
0.868 0.954 0.781
0.913 0.132 0.586
0.913 0.281 0.327
0.914 0.046 0.327
0.914 0.368 0.587
0.954 0.673 0.086
0.954 0.781 0.868
```

=====

No. 1
Entry from Alexandria via LeMat-Bulk: a relaxed structure of LaTbHg2 (GGA-PBE).

* crystal system: trigonal
* formation energy from the elements: -324 meV/atom
* E: -2.86 eV per atom

Cell: 9.498 9.498 9.498 Å, 23.72 23.72 23.72°
Fractional coordinates of all 4 atoms:
La 0.000 0.000 0.000
Tb 0.833 0.833 0.833
Hg 0.421 0.421 0.421
Hg 0.579 0.579 0.579


No. 2
Entry from Alexandria via LeMat-Bulk: a relaxed structure of LaTb5Hg4 (GGA-PBE).

* crystal system: tetragonal
* formation energy from the elements: -379 meV/atom
* E: -3.31 eV per atom

Cell: 3.726 3.726 20.009 Å, 90.00 90.00 90.00°
Fractional coordinates of all 10 atoms:
La 0.000 0.000 0.000
Tb 0.500 0.500 0.126
Tb 0.500 0.500 0.313
Tb 0.500 0.500 0.500
Tb 0.500 0.500 0.687
Tb 0.500 0.500 0.874
Hg 0.000 0.000 0.217
Hg 0.000 0.000 0.405
Hg 0.000 0.000 0.595
Hg 0.000 0.000 0.783


No. 3
Entry from Alexandria via LeMat-Bulk: a relaxed structure of LaTbHg2 (GGA-PBE).

* crystal system: tetragonal
* formation energy from the elements: -490 meV/atom
* E: -3.03 eV per atom

Cell: 3.776 3.776 7.831 Å, 90.00 90.00 90.00°
Fractional coordinates of all 4 atoms:
The crystal structures stop here =

twice-baked cheesy mashed potatoes

After this weekend’s near-disaster, we will be giving thanks for hot water at Thanksgiving this year. We awoke Saturday morning to find the water pressure in our house had suddenly dropped to a pathetic trickle, which of course happened on the day we were expecting company. We had big plans to cook with our friend Soe, who was the winner of this year’s Saveur Blog Award for Best New Voice. His beautiful website, Lime and Cilantro, is filled with stunning photography and delicious Burmese recipes including the chickpea tofu he planned to make for the dinner. All this week, we have been cooking up a storm, testing new recipes left and right, and our sink was piled high with dishes from the night before. There we stood, unshaven and unshowered, in the middle of our war zone of a kitchen with no water pressure, and our guest arriving in less than two hours.



the crispiest tofu

the crispiest tofu

Extra! Extra! Read all about it! The crispiest tofu is sweeping the land! Say goodbye to soft, flavorless, boring tofu and brace yourselves for its superior successor. Our talented and dear friend Emma K. Morris worked some serious magic to create this newsworthy recipe, and was kind enough to share her secrets with us. Like many people, Emma’s dad didn’t like tofu, but she was convinced that she could come up with a recipe that would change his mind. She rolled up her sleeves, began researching and testing, tasting and retesting, determined to find a way to transform this bland white brick of coagulated soy milk into something that everyone will love. If you set your mind to something, you can accomplish anything—even the impossible—and that is exactly what she did. And her method is pure genius.



cauliflower shawarma tacos

cauliflower shawarma tacos

We just opened the windows in the house. All day long, the air conditioning has been working to keep out the dry November heat. It feels like we haven’t had a solid rain in years, and our jade plants that are usually plump and deep forest green are now wrinkled and starting to fall over. But as the windows let in the cool afternoon air, a comfortable breeze gently graces the house; outside, birds are chirping, discussing their evening plans in this last hour of golden light, while a siren in the distant city sets off packs of coyotes howling in the surrounding hillsides. As their chilling sounds climax, they all stop at once; it is quiet again, and this time the quiet lasts longer, and the house grows darker.



ricotta cavatelli

ricotta cavatelli

Yesterday was our wedding anniversary. Exactly ten years ago, we exchanged vows in front of 150 of our closest friends and family. It was a special day and a beautiful ceremony unlike any other. We stood under a Jewish chuppah inside a Christian church, married by a gay pastor and a lesbian rabbi. The building was bright and welcoming with high vaulted ceilings and a rainbow flag displayed proudly in front of the church with the words “All are welcome” for everyone to see. We walked down the aisle hand in hand as our friend played “Love” by John Lennon on the grand piano. Under the canopy, the four of us stood in a semi-circle facing the audience, so now every time we think back to November 5th, we can picture everyone’s smiling faces in our memories.

